== Job ==
Now filter the calculation results further below: keep the lines with the word "ends".

== Listing ==
/*
Entry 1:
ZrBiPb2 | PBE | optimized geometry

Results
density of states at the Fermi level: 2.89 states/eV/f.u.
E above lowest polymorph: 0.0 meV/atom

Cell: 4.449 4.449 12.154 Å, 79.45 79.45 90.00°
Sites, in units of the cell vectors:
Pb 0.133 0.625 0.250
Pb 0.375 0.383 0.750
Pb 0.617 0.125 0.250
Pb 0.875 0.867 0.750
Bi 0.750 0.250 0.500
Bi 0.000 0.000 0.000
Zr 0.500 0.500 0.000
Zr 0.250 0.750 0.500

***

Entry 2:
Zr2Bi3Pb2 | PBE | optimized geometry

Results
density of states at the Fermi level: 4.73 states/eV/f.u.

Cell: 5.402 5.407 8.215 Å, 70.74 70.80 60.03°
Sites, in units of the cell vectors:
Bi 0.000 0.000 0.000
Bi 0.585 0.585 0.245
Bi 0.415 0.415 0.755
Pb 0.858 0.858 0.426
Pb 0.142 0.142 0.574
Zr 0.284 0.283 0.149
Zr 0.716 0.717 0.851

***

Entry 3:
Zr7Bi2Pb2 | PBE | optimized geometry

Results
density of states at the Fermi level: 12.20 states/eV/f.u.

Cell: 7.305 5.572 7.305 Å, 77.86 101.37 102.14°
Each line ends with the local moment (μB).
Sites, in units of the cell vectors:
Zr 0.000 0.000 0.000  0.08
Zr 0.944 0.735 0.395  0.27
Zr 0.056 0.265 0.605  0.27
Zr 0.395 0.265 0.944  0.27
Zr 0.503 0.743 0.497  0.01
Zr 0.497 0.257 0.503  0.01
Zr 0.605 0.735 0.056  0.27
Bi 0.251 0.811 0.749  -0.01
Bi 0.749 0.189 0.251  -0.01
Pb 0.201 0.500 0.201  0.00
Pb 0.799 0.500 0.799  0.00

***

Entry 4:
ZrBiPb3 | PBE | optimized geometry

Results
density of states at the Fermi level: 5.96 states/eV/f.u.
E above lowest polymorph: 675.8 meV/atom

Cell: 5.896 5.896 5.896 Å, 90.00 90.00 90.00°
Each line ends with the local moment (μB).
Sites, in units of the cell vectors:
Pb 0.000 0.500 0.000  -0.01
Pb 0.000 0.000 0.500  0.01
Pb 0.500 0.000 0.000  -0.03
Zr 0.500 0.500 0.500  1.26
Bi 0.000 0.000 0.000  0.01

***

Entry 5:
Zr4Bi2Pb | PBE | optimized geometry

Results
density of states at the Fermi level: 5.83 states/eV/f.u.
E above lowest polymorph: 119.4 meV/atom

Cell: 7.866 7.866 7.867 Å, 108.50 108.55 111.38°
Sites, in units of the cell vectors:
Zr 0.865 0.258 0.233
Zr 0.025 0.632 0.767
Zr 0.508 0.775 0.893
Zr 0.882 0.614 0.107
Zr 0.385 0.118 0.893
Zr 0.742 0.135 0.767
Zr 0.225 0.492 0.107
Zr 0.368 0.975 0.233
Pb 0.000 0.000 0.000
Pb 0.250 0.750 0.500
Bi 0.625 0.453 0.328
Bi 0.125 0.297 0.672
Bi 0.703 0.875 0.328
Bi 0.547 0.375 0.672

***

Entry 6:
ZrBiPb2 | PBE | optimized geometry

Results
density of states at the Fermi level: 4.39 states/eV/f.u.
E above lowest polymorph: 200.6 meV/atom

Cell: 3.375 3.375 12.298 Å, 82.11 82.11 60.00°
Sites, in units of the cell vectors:
Bi 0.500 0.500 0.500
Pb 0.083 0.083 0.750
Pb 0.917 0.917 0.250
Zr 0.000 0.000 0.000

***

Entry 7:
BiPd2 | PBE | optimized geometry

Results
density of states at the Fermi level: 2.17 states/eV/f.u.

Cell: 3.957 4.342 7.042 Å, 71.85 90.00 90.00°
Sites, in units of the cell vectors:
Pd 0.000 0.000 0.000
Pd 0.500 0.500 0.000
Pd 0.500 0.158 0.678
Pd 0.500 0.842 0.322
Bi 0.000 0.650 0.695
Bi 0.000 0.350 0.305

***

Entry 8:
Bi3Pd5 | PBE | optimized geometry

Results
density of states at the Fermi level: 4.42 states/eV/f.u.
E above lowest polymorph: 0.0 meV/atom

Cell: 5.857 5.857 9.570 Å, 90.00 90.00 105.42°
Sites, in units of the cell vectors:
Pd 0.495 0.054 0.750
Pd 0.505 0.946 0.250
Pd 0.301 0.301 0.537
Pd 0.699 0.699 0.463
Pd 0.991 0.991 0.750
Pd 0.301 0.301 0.963
Pd 0.699 0.699 0.037
Pd 0.946 0.505 0.250
Pd 0.054 0.495 0.750
Pd 0.009 0.009 0.250
Bi 0.589 0.589 0.750
Bi 0.798 0.202 0.000
Bi 0.411 0.411 0.250
Bi 0.202 0.798 0.500
Bi 0.798 0.202 0.500
Bi 0.202 0.798 0.000

***

Number 1: ΔE_f 0.13 eV/atom. Number 2: ΔE_f -0.08 eV/atom. Number 3: ΔE_f 0.10 eV/atom. Number 4: ΔE_f 1.13 eV/atom. Number 5: ΔE_f -0.16 eV/atom. Number 6: ΔE_f 0.33 eV/atom. Number 7: ΔE_f -0.20 eV/atom. Number 8: ΔE_f -0.25 eV/atom.


[1]
The following is a DFT calculation (PBE-GGA) of a relaxed structure of PRuNO2.

The structure in extended XYZ format:
```
5
Lattice="3.634 0.000 0.000 0.000 3.634 0.000 0.000 0.000 5.241" Properties=species:S:1:pos:R:3 pbc="T T T"
P 0.000 0.000 0.000
*/

== Done ==
Each line ends with the local moment (μB).
Each line ends with the local moment (μB).